nginx rtmp hls
This guide will explain how to setup your own streaming server on ubuntu. 1. Compile nginx with rtmp module. Firstly, we'll need to compile nginx with the nginx-rtmp-module.
Misplaced calculated crystals:
An optimized crystal structure of Na14Zn5Si6Sn3S6O48. Source: Materials Project, functional PBE.

abc: 18.3325 9.1095 22.3986
angles: 90.16 89.96 120.20
Fractional positions:
1 O 0.5947 0.2299 0.6914
2 O 0.1642 0.4968 0.0749
3 O 0.8948 0.9597 0.6938
4 O 0.3516 0.5572 0.5294
5 O 0.2450 0.1669 0.2433
6 O 0.8513 0.5271 0.2465
7 O 0.9226 0.8289 0.5895
8 O 0.7538 0.1456 0.9170
9 O 0.0160 0.2207 0.1957
10 O 0.4860 0.7779 0.8042
11 O 0.3926 0.9550 0.6890
12 O 0.7607 0.6330 0.8638
13 O 0.1475 0.8117 0.2582
14 O 0.9363 0.3653 0.9227
15 O 0.9868 0.1940 0.3044
16 O 0.0627 0.6422 0.3617
17 O 0.9161 0.0261 0.0886
18 O 0.6526 0.8415 0.9756
19 O 0.7588 0.8879 0.3639
20 O 0.5147 0.2153 0.1968
21 O 0.7758 0.8609 0.4710
22 O 0.1118 0.0391 0.3098
23 O 0.0088 0.2043 0.9131
24 O 0.2589 0.8277 0.7520
25 O 0.2172 0.2855 0.0248
26 O 0.7446 0.3316 0.7491
27 O 0.1132 0.1831 0.8103
28 O 0.3980 0.9762 0.4118
29 O 0.2195 0.1456 0.5230
30 O 0.6103 0.1802 0.8113
31 O 0.2726 0.6850 0.9699
32 O 0.8427 0.1702 0.7469
33 O 0.6816 0.4942 0.3570
34 O 0.2523 0.3625 0.4183
35 O 0.4266 0.3048 0.5274
36 O 0.3969 0.8358 0.1944
37 O 0.0727 0.4538 0.9720
38 O 0.0915 0.2169 0.6905
39 O 0.5078 0.8123 0.4143
40 O 0.6459 0.4571 0.4749
41 O 0.2751 0.8592 0.4723
42 O 0.8549 0.1479 0.0283
43 O 0.1815 0.4961 0.3585
44 O 0.8999 0.8220 0.9122
45 O 0.0657 0.6525 0.0793
46 O 0.7428 0.3776 0.1409
47 O 0.3508 0.1461 0.0287
48 O 0.6752 0.5076 0.0753
49 O 0.1711 0.8356 0.5755
50 O 0.1567 0.4917 0.7576
51 O 0.4235 0.5353 0.7408
52 O 0.0831 0.1555 0.0894
53 O 0.6653 0.8336 0.5753
54 O 0.4879 0.8131 0.0839
55 O 0.8267 0.5162 0.9221
56 O 0.5786 0.4664 0.2545
57 O 0.2532 0.1555 0.9227
58 O 0.2583 0.8882 0.3655
59 O 0.2603 0.6490 0.5791
60 O 0.9390 0.3571 0.6354
61 O 0.4141 0.8069 0.5879
62 O 0.3262 0.5291 0.6376
63 O 0.3205 0.5052 0.9202
64 O 0.0732 0.6933 0.4698
65 O 0.5841 0.1643 0.0919
66 O 0.2430 0.1050 0.6407
67 O 0.5794 0.9747 0.9133
68 O 0.9395 0.5220 0.1368
69 O 0.2604 0.6308 0.8621
70 O 0.9310 0.3076 0.5270
71 O 0.4108 0.0088 0.8084
72 O 0.9888 0.1766 0.5868
73 O 0.0782 0.4679 0.2549
74 O 0.9059 0.0157 0.8144
75 O 0.1509 0.4623 0.4775
76 O 0.7152 0.1427 0.5232
77 O 0.2569 0.6787 0.2520
78 O 0.5779 0.6908 0.7543
79 O 0.5825 0.0120 0.5906
80 O 0.4826 0.1697 0.5874
81 O 0.5589 0.6375 0.3631
82 O 0.3994 0.8113 0.9110
83 O 0.2337 0.3585 0.1441
84 O 0.4089 0.7983 0.3146
85 O 0.3200 0.1209 0.1365
86 O 0.5723 0.6488 0.0812
87 O 0.0785 0.1844 0.4132
88 O 0.9283 0.5457 0.0283
89 O 0.4130 0.0303 0.0888
90 O 0.8986 0.9760 0.4103
91 O 0.5695 0.4488 0.9715
92 O 0.7592 0.8297 0.7531
93 O 0.0188 0.8143 0.6977
94 O 0.2581 0.8706 0.0772
95 O 0.9119 0.8004 0.3107
96 O 0.4334 0.3636 0.9216
97 O 0.0619 0.4857 0.8644
98 O 0.6471 0.8099 0.2582
99 O 0.8623 0.5676 0.5242
100 O 0.9852 0.7991 0.0864
101 O 0.0094 0.8139 0.4122
102 O 0.7630 0.8735 0.0787
103 O 0.5770 0.1809 0.4120
104 O 0.8235 0.5163 0.6437
105 O 0.1796 0.8736 0.8581
106 O 0.9886 0.7818 0.8060
107 O 0.5909 0.9542 0.1924
108 O 0.3270 0.1382 0.4227
Why Use Nginx with RTMP, HLS, and DASH? Nginx with RTMP Module: Nginx is a powerful, lightweight web server known for its high performance and ability to handle numerous simultaneous connections. By adding the RTMP module, Nginx becomes a capable streaming server for live video content using the RTMP protocol. RTMP is a low-latency protocol ...
=====
No. 1
Entry from the Materials Project database: a geometry-optimized Ga8BIr4 structure (PBE-GGA).

Unit cell a=12.265 b=12.265 c=12.265 alpha=138.83 beta=138.83 gamma=59.63
Sites, in units of the cell vectors:
Ga 0.151 0.875 0.153
Ga 0.501 0.777 0.153
Ga 0.625 0.349 0.847
Ga 0.099 0.751 0.224
Ga 0.527 0.875 0.776
Ga 0.625 0.973 0.224
Ga 0.749 0.401 0.776
Ga 0.723 0.999 0.847
Ga 0.599 0.375 0.347
Ga 0.249 0.473 0.347
Ga 0.125 0.901 0.653
Ga 0.651 0.499 0.276
Ga 0.251 0.032 0.651
Ga 0.782 0.631 0.281
Ga 0.350 0.501 0.719
Ga 0.999 0.150 0.281
Ga 0.869 0.718 0.719
Ga 0.900 0.119 0.651
Ga 0.468 0.249 0.349
Ga 0.381 0.600 0.349
Ga 0.499 0.218 0.849
Ga 0.968 0.619 0.219
Ga 0.400 0.749 0.781
Ga 0.751 0.100 0.219
Ga 0.881 0.532 0.781
Ga 0.850 0.131 0.849
Ga 0.282 0.001 0.151
Ga 0.369 0.650 0.151
Ga 0.027 0.251 0.653
Ga 0.001 0.849 0.724
Ga 0.125 0.277 0.276
Ga 0.223 0.375 0.724
B 0.500 0.000 0.500
B 0.750 0.750 0.000
B 0.250 0.250 0.000
B 0.000 0.500 0.500
Ir 0.648 0.648 0.000
Ir 0.398 0.898 0.500
Ir 0.602 0.102 0.500
Ir 0.852 0.852 0.000
Ir 0.102 0.602 0.500
Ir 0.352 0.352 0.000
Ir 0.148 0.148 0.000
Ir 0.898 0.398 0.500
Ir 0.074 0.426 0.000
Ir 0.176 0.676 0.851
Ir 0.824 0.324 0.149
Ir 0.426 0.074 0.000
Ir 0.676 0.824 0.500
Ir 0.574 0.574 0.649
Ir 0.926 0.926 0.351
Ir 0.324 0.176 0.500

Summary:
The calculation puts the total energy at -5.538 eV/atom. The calculation puts the total magnetization at 0.000 μB/atom. For the energy of formation from the pure elements, the calculation gives -0.442 eV/atom.

=====

No. 2
Entry from the Materials Project database: a geometry-optimized CeSe2 structure (PBE-GGA).

Unit cell a=9.340 b=9.340 c=9.340 alpha=98.46 beta=98.46 gamma=98.46
Sites, in units of the cell vectors:
Ce 0.881 0.243 0.593
Ce 0.243 0.593 0.881
Ce 0.593 0.881 0.243
Ce 0.119 0.757 0.407
Ce 0.757 0.407 0.119
Ce 0.407 0.119 0.757
Se 0.000 0.500 0.500
Se 0.500 0.500 0.000
Se 0.500 0.000 0.500
Se 0.707 0.255 0.817
Se 0.255 0.817 0.707
Se 0.817 0.707 0.255
Se 0.293 0.745 0.183
Se 0.745 0.183 0.293
Se 0.183 0.293 0.745
Se 0.000 0.000 0.500
Se 0.000 0.500 0.000
Se 0.500 0.000 0.000

Summary:
The calculation puts the total energy at -5.578 eV/atom. The calculation puts the total magnetization at 0.000 μB/atom. For the energy of formation from the pure elements, the calculation gives -1.584 eV/atom.

=====

No. 3
Entry from the Materials Project database: a geometry-optimized Ba2B2AsH3F18 structure (PBE-GGA).

Unit cell a=7.016 b=7.016 c=17.893 alpha=90.00 beta=90.00 gamma=120.00
Sites, in units of the cell vectors:
Ba 0.667 0.333 0.377
Ba 0.333 0.667 0.623
Ba 0.333 0.667 0.877
Ba 0.667 0.333 0.123
B 0.667 0.333 0.609
B 0.333 0.667 0.391
B 0.333 0.667 0.109
B 0.667 0.333 0.891
As 0.000 0.000 0.500
As 0.000 0.000 0.000
H 0.889 0.111 0.250
H 0.889 0.778 0.250
H 0.222 0.111 0.250
H 0.111 0.889 0.750
H 0.111 0.222 0.750
H 0.778 0.889 0.750
F 0.805 0.195 0.250
F 0.805 0.610 0.250
F 0.390 0.195 0.250
F 0.195 0.805 0.750
F 0.195 0.390 0.750
F 0.610 0.805 0.750
=====
### The piece goes on
In our setup, we'll be utilizing three technologies for high-performance media streaming: Nginx, RTMP, and HLS. Nginx is an open-source, high-performance web server created and publicly released by Igor Sysoev in 2004. It can also be used as a reverse proxy server, mail IMAP/POP3 proxy server, load balancer, and HTTP cache.
The Nginx RTMP module isn't included automatically with Nginx, but on Ubuntu 20.04 and most other Linux distributions you can install it as an additional package. ... Nearly all internet video streaming is implemented on top of RTMP, HLS, and DASH, and by using the approach that you have explored in this tutorial, you can provide your stream ...
Most of this was obtained from examples in the nginx-rtmp-module GitHub but it is important is matching the root location with the location the rtmp directive specifies in the hls_path.. While ...
RTMP and HLS Real Time Messaging Protocol, or RTMP, is a protocol for streaming data over the internet.It is typically used to stream video and audio. For example, we can stream a large video file with RTMP by breaking it up into smaller packets and sending them to the client. The client then reassembles these packets into video.
Stream video in multiple formats, including Real-Time Messaging Protocol (RTMP), HLS, and DASH, with the RTMP dynamic module, supported by NGINX, Inc. ... (RTMP), HLS, and DASH, with the RTMP dynamic module, supported by NGINX, Inc. F5 Sites DevCentral. Connect & learn in our hosted community. MyF5. Your key to everything F5, including support ...
Add RTMP functionality to the server so that it can accept RTMP streams and process into HLS stream. rtmp { server { listen 1935 ; application live { live on; interleave on; hls on; hls_path /tmp/hls/; hls_fragment 15s; } } }
(Unrelated to this entry: records of crystals)
/*
Record 1
Na6Sc2Nb2Si5SO24: relaxed, GGA-PBE.

Lattice parameters (Å, degrees): 9.1416 9.1274 22.6883 89.75 90.31 120.08
With the nearest neighbours (Å) after each atom.
Fractional coordinates of all 120 atoms:
Nb  0.9924  0.9920  0.1507  5 O 1.92-2.03
Nb  0.9948  0.9920  0.6467  6 O 1.93-2.09
Nb  0.3349  0.6529  0.8073  5 O 1.93-2.04
Nb  0.3453  0.6716  0.3132  5 O 1.93-2.08
Nb  0.6544  0.3200  0.4810  5 O 1.89-2.06
Nb  0.6660  0.3353  0.6871  6 O 1.94-2.04
O  0.6430  0.1498  0.4228  1 Si 1.66
O  0.8214  0.0424  0.8087  1 Si 1.62
O  0.6971  0.5334  0.5230  1 Si 1.65
O  0.6703  0.5148  0.2422  1 Si 1.61
O  0.1804  0.9743  0.9110  1 S 1.49
O  0.4723  0.3504  0.1363  1 S 1.47
O  0.1581  0.4644  0.9752  1 Si 1.62
O  0.5002  0.1433  0.6402  1 Si 1.64
O  0.8160  0.8301  0.9127  1 Si 1.63
O  0.5125  0.8387  0.0809  1 Si 1.63
O  0.0246  0.8353  0.6954  1 Si 1.67
O  0.1762  0.4818  0.2574  1 Si 1.66
O  0.5159  0.8300  0.7573  1 Si 1.65
O  0.3010  0.8233  0.2568  1 Si 1.67
O  0.9793  0.8230  0.0918  1 Si 1.68
O  0.3595  0.5005  0.3602  1 Si 1.73
O  0.0181  0.8114  0.4116  1 S 1.47
O  0.8252  0.3024  0.5282  1 Si 1.67
O  0.4646  0.1684  0.5264  1 Si 1.70, 1 Nb 1.89
O  0.6898  0.1692  0.7404  1 Si 1.64
O  0.6485  0.4993  0.6376  1 Si 1.64
O  0.9614  0.1666  0.3041  1 Si 1.59
O  0.5039  0.8638  0.3592  1 Si 1.72
O  0.4498  0.3076  0.0296  1 S 1.48
O  0.8560  0.3587  0.9177  1 Si 1.65
O  0.3074  0.8536  0.9692  1 S 1.48
O  0.4786  0.1608  0.2432  1 Si 1.62
O  0.2143  0.1818  0.8114  1 Si 1.60
O  0.5221  0.6998  0.2568  1 Si 1.68
O  0.1240  0.6444  0.3614  1 S 1.51
O  0.8618  0.3527  0.6427  1 Si 1.64
O  0.7974  0.8328  0.1946  1 Si 1.69
O  0.1652  0.1953  0.6934  1 Si 1.65
O  0.5037  0.6423  0.5807  1 Si 1.62
O  0.8067  0.9658  0.4128  1 Si 1.61
O  0.9703  0.7842  0.8120  1 Si 1.60
O  0.3649  0.8625  0.5806  1 Si 1.60
O  0.4983  0.6478  0.8611  1 Si 1.70
O  0.3525  0.4822  0.0792  1 S 1.50
O  0.1923  0.0392  0.5909  1 Si 1.64
O  0.7011  0.1546  0.0251  1 Si 1.65
O  0.8406  0.5167  0.7417  1 Si 1.65
O  0.4821  0.3148  0.7413  1 Si 1.63
O  0.1479  0.6417  0.0792  1 Si 1.63
O  0.5349  0.8468  0.4768  1 Si 1.61
O  0.1418  0.4971  0.8587  1 Si 1.68
O  0.9643  0.1562  0.5899  1 Si 1.67
O  0.3149  0.4629  0.4779  1 Si 1.61
O  0.2025  0.0340  0.3065  1 Si 1.59
O  0.8240  0.7848  0.3103  1 Si 1.59
O  0.8709  0.5076  0.4191  1 S 1.50
O  0.1682  0.6834  0.7563  1 Si 1.66
O  0.6443  0.1218  0.1432  1 Si 1.62
O  0.1447  0.6826  0.4686  1 S 1.46
O  0.1747  0.1832  0.4138  1 Si 1.60
O  0.1457  0.4936  0.5810  1 Si 1.61
O  0.8460  0.5572  0.0251  1 Si 1.66
O  0.0278  0.1872  0.9129  1 Si 1.64
O  0.3588  0.8768  0.8631  1 S 1.48
O  0.6273  0.4861  0.9186  1 Si 1.64
O  0.4859  0.1277  0.9216  1 S 1.49
O  0.1619  0.9657  0.1938  1 Si 1.69
O  0.8476  0.0273  0.0905  1 Si 1.72
O  0.0387  0.2082  0.1909  1 Si 1.68
O  0.1967  0.1782  0.0877  1 S 1.49
O  0.7980  0.9711  0.6923  1 Si 1.66
O  0.3030  0.4725  0.7550  1 Si 1.70
O  0.8757  0.5192  0.1426  1 Si 1.63
*/
One of the most common video streaming protocols is an HLS Streaming Server. HLS is an adaptive streaming technology which allows you to stream media content that is tailored to the user's device and network conditions for the best streaming performance. HLS and RTMP can be easily integrated with the Nginx web server using the Nginx RTMP module.
How to Convert RTMP to HLS Using NGINX. NGINX is a high-performance web server that can also be used for media streaming. By adding the NGINX-RTMP module, you can convert RTMP streams to HLS. Here's how: Install NGINX with RTMP Module: On Debian/Ubuntu: sudo apt-get install nginx libnginx-mod-rtmp. On CentOS/RHEL: sudo yum install epel-release